Ergun Caner's Arrogant Dismissal of His Own Falsehoods


A mountain of factual information has been produced demonstrating Ergun Caner has engaged in gross dishonesty in his self-promoting claims. Yet, now that he has "cover" from the likes of Norman Geisler, Caner is back to his old ways, mocking his critics and spinning a tale.


On September 25, 2010, a man by the name of David McGehee, as I recall, writing for the
Media General News Service, published an article wherein he reported on a recent presentation given by Dr.
Ergin Canner at the Bristol's 12th Annual Prayer Breakfast to around 500 people.
When I first read this article, I was simply shocked.
Jamin Hubner had linked to it, and it was one of the saddest things that I had read in the entirety of this debacle of the
Ergin Canner scandal and then the great evangelical cover -up headed by Norman Geisler and others.
I've heard a lot of sad things in this situation. I have sat with former
Muslims who have expressed their anger because of Ergin's lies and the fact that he has puffed up his testimony.
He has, in essence, slapped them in the face that they have just a regular testimony, being a nominal Muslim that came to know
Christ. But obviously, from Ergin Canner's experience, that's not good enough. It's not good enough to have grown up in Columbus, Ohio and had one parent that was a
Muslim and have come to know Christ. That's not good enough. You have to pretend that you actually lived in Turkey and pretend that you were trained in madrasas in Cairo and Beirut and Istanbul to make it all sound really jihadi and all the rest of this stuff.
And that's obviously sad. The disrespect that Ergin Canner has shown to Muslims who truly have converted out of those types of backgrounds, but they weren't jihadists, they were radicals or anything like that.
It's obviously extremely sad to see quote -unquote discernment ministries demonstrating that they haven't a clue what discernment means.
They will go out and do discernment conferences, and yet because of politics and money and the power of certain individuals, specifically
Norman Geisler, they refuse to speak up. They refuse to say what they know is true.
There isn't a question anymore about these issues. The mountain of video, audio, court documents that has been produced, there's no question any longer here.
And people know it if they will just take the time to look at it. And yet there's this massive silence, and it's extremely sad to think of the state of evangelicalism that you have so many who are much more concerned about politics, much more concerned about the invitation to the next large conference, than they are in doing what's right in defending the pulpit and the
Christian gospel against a man who is clearly a deceiver and a liar, and is banking on the continued gullibility of so many
Christians, specifically Ergin Kanner and those aiding and abetting him. But what is so sad here is to see a man who though he knows, and we have enough contacts inside Liberty and other places to know, that Ergin Kanner knows the nature of the evidence against him.
He knows that we're talking about videotapes which have not just come from Mohammed Khan, by the way.
Mohammed Khan has done a lot of legwork, but Mohammed Khan didn't find the
Marine videos. Mohammed Khan didn't find the court documents. And while he has done much of this work, the reality is that sources from over here and sources from over here, they're all saying the same thing.
And so these materials have come together, and Ergin Kanner knows beyond a shadow of a doubt that what we're saying is true.
He knows he's been caught red -handed. And yet when you read this article, you find a man who is even described by the writers as controversial professor and evangelical
Mr. Ergin Kanner was unapologetic Friday, defending his record while criticizing Islam, his critics, and the media.
He was unapologetic. This is not a man, we've been told by his defenders, oh he's sorry and he's repented.
This is not a repentant man. This is an arrogant man. This is a man thumbing his nose at everyone who has tried to call him to repentance.
And it's starting to make me wonder, maybe we've been going about this all the wrong way. Because we've been talking about confession, repentance, and restoration.
Restoration assumes someone going back to a position they once had. I have to seriously start wondering, in light of this man's behavior now, if we should just be talking about initial confession and repentance for the first time.
Because a man who will continue to lie, having been caught in his lies already, showing no repentance whatsoever, thumbing his nose at the church, continuing to collect his paycheck.
That really makes you wonder. It really makes you wonder. Listen to what he says, quote, we saw it, the controversy, coming.
My brothers and I have been dealing with it for years. This just happened to bounce big, and I paid no attention.
News means little to me, and the web is, well, bloggers for the most part are just frustrated people in their basements, end quote,
Kanner said after the program. Now we know, we very well know, that he didn't just ignore this, that he paid no attention.
And he knows that too. But once you've been lying for 10 years, why not just continue?
It seems the man's an inveterate liar. He cannot stop lying. He cannot stop telling untruths.
**Calculated molecules that have nothing to do with the entry:**
/*
# 1
A cluster of 2 separate species, C5H4F6O in total in a non-equilibrium geometry. Source: the Open Molecules 2025 dataset; level of theory: ωB97M-V/def2-TZVPD.

Its HOMO energy (alpha / beta) is -9.1 / -9.1 eV. The calculation puts the relative energy (zero: lowest compared OMol25 entry of this formula, charge and spin) at 38.2 kcal per mole. The calculation puts the molecular weight at 194.1 g mol⁻¹. The HOMO-LUMO gap (alpha / beta) is 8.627 / 8.625 eV. For the maximum force, the calculation gives 4.1 eV Å⁻¹. The calculation puts the LUMO energy (alpha / beta) at -0.5 / -0.5 eV.

XYZ file:
```
16
Properties=species:S:1:pos:R:3:forces:R:3
C 0.8572 0.0048 -0.7343 2.8 -1.9 -0.4
C 0.2152 0.9653 -0.1947 -3.5 -1.2 0.2
C -1.9204 -0.1283 -0.0738 1.8 0.1 1.7
C -2.3392 0.3844 -1.3743 -0.9 0.8 -2.5
C -2.7617 0.2945 1.1329 -1.1 -0.3 -0.2
O -1.5385 -1.4665 -0.1893 -1.8 -1.9 2.9
F -1.6588 -0.3001 -2.3150 -0.1 0.4 -0.1
F -3.6652 0.2459 -1.7198 0.6 -0.1 0.6
F -2.0946 1.7224 -1.5777 -0.1 -0.9 0.5
F -3.8459 -0.5550 1.3982 1.3 0.4 -0.5
F -2.0738 0.3577 2.2602 0.5 -0.4 0.4
F -3.3078 1.5068 0.9637 0.2 -0.1 -0.4
H 1.9908 -0.0435 -1.0722 -2.4 0.5 0.7
H 0.3616 -1.0203 -0.7232 0.5 1.1 -0.1
H -0.2960 1.8522 0.0997 0.8 0.6 0.0
H -1.9605 -2.1292 0.5536 1.4 2.8 -2.6
```
Positions in Å, forces in eV/Å.



# 2
A cluster of 2 separate species, C3H4F3N in total in a non-equilibrium geometry. Source: the Open Molecules 2025 dataset; level of theory: ωB97M-V/def2-TZVPD.

Its HOMO energy (alpha / beta) is -9.9 / -9.6 eV. The calculation puts the relative energy (zero: lowest compared OMol25 entry of this formula, charge and spin) at 153.3 kcal per mole. The calculation puts the molecular weight at 111.1 g mol⁻¹. The HOMO-LUMO gap (alpha / beta) is 9.423 / 9.204 eV. For the maximum force, the calculation gives 4.4 eV Å⁻¹. The calculation puts the LUMO energy (alpha / beta) at -0.5 / -0.4 eV.

XYZ file:
```
11
Properties=species:S:1:pos:R:3:forces:R:3
C 1.6153 0.7896 -0.1544 0.1 -0.6 -0.5
C 0.6147 1.1691 0.5958 -1.8 -1.0 -0.7
C -0.9512 -1.2977 -0.0042 -3.1 -0.6 -2.7
N -1.3530 0.0338 0.2803 2.2 1.6 3.4
F 2.7997 1.4365 -0.2757 -0.4 -0.1 0.1
F 0.4428 2.2489 1.2836 -0.1 0.3 0.4
F -1.8758 0.6589 -0.7771 -0.2 -0.1 -1.6
H 1.5070 -0.1098 -0.7640 0.4 0.3 0.2
H -0.5687 -1.7686 0.8478 0.4 -0.3 1.5
H -2.0466 -1.8210 -0.2426 3.0 0.9 0.1
H -0.1843 -1.3398 -0.7894 -0.6 -0.5 -0.3
```
Positions in Å, forces in eV/Å.



# 3
A cluster of 2 separate species, C4H11NO in total in a non-equilibrium geometry. Source: the Open Molecules 2025 dataset; level of theory: ωB97M-V/def2-TZVPD.

Its HOMO energy is -9.9 eV. The calculation puts the relative energy (zero: lowest compared OMol25 entry of this formula, charge and spin) at 5.8 kcal per mole. The calculation puts the molecular weight at 89.1 g mol⁻¹. The HOMO-LUMO gap is 10.708 eV. For the maximum force, the calculation gives 1.2 eV Å⁻¹. The calculation puts the LUMO energy at 0.9 eV.

XYZ file:
```
17
Properties=species:S:1:pos:R:3:forces:R:3
*/
And the fact of the matter is, this didn't just happen to bounce big. The reason that this came to the level of attention that it did, is because it came into the
Christian blogosphere. And the very people that do the things Ergin Kanner has pretended to be doing for 10 years are the ones that were saying, hey, there's a problem here.
The fantasy persona he created for himself, lying about all these debates, lying about doing debates in mosques in Arabic, when the man doesn't speak or understand
Arabic, his mother tongue is Swedish, for crying out loud. That's not called bouncing big.
That's called being exposed by people who know better, by the people who actually do the things you pretend to do, but have never done.
But to say that it's just frustrated people in their basements is very clearly an attempt on Kanner's part, and this has been going on from the beginning, to minimize the people who have been asking for honesty on his part.
**Here the entry breaks off for quantum chemistry results**
Here is the ion CH3O2S3 with charge -1 from the Open Molecules 2025 dataset. Energies are from ωB97M-V/def2-TZVPD.

```
9
Properties=species:S:1:pos:R:3:lowdin_charge:R:1
C 1.44875 0.14086 -0.07445 -0.45
S 0.09879 0.75422 -1.22369 0.48
S -1.39385 -0.21071 0.06515 -0.18
O -0.90637 0.23357 1.38139 -0.54
O -1.05300 -1.62301 -0.13410 -0.50
S -3.15011 0.36539 -0.33258 0.15
H 0.84686 -0.11829 0.80182 -0.03
H 2.05226 1.08731 0.11109 0.03
H 2.05667 -0.62934 -0.59463 0.02
```

Its calculated total energy is -37687.653 eV. As for the structure (SMILES): CSS(=O)(=O)[S-]. The charge is -1. For the HOMO-LUMO gap, the calculation gives 0.2959 Eh.
Now, that works when you're talking, again, to gullible people who do not check out the facts, and unfortunately, that's a large portion of people, and evidently, the idea is, just keep going this direction and count on having a majority of gullible people so you can keep speaking at your conferences, and keep teaching your classes, and keep writing your books.
That seems to be the plan here. It is obviously deeply disrespectful to those who have sought to do what is right in this situation, but no one's going to be complaining about that.
He goes on to say, he said, Muslims who renounce their faith are considered murtad, or deviated from Islam and subject to attacks, verbal or physical, by other
Muslims. In other words, he's continuing the persecution cart. This is just a matter of being persecuted for his faith, which is just another lie on his part.
You learn to live with adversity, he said, you learn through adversity, and it takes more than edited videos to knock me down,
Kanner said. Edited videos. Well, obviously, every video that's been posted online has been edited, because no one has posted from beginning to end, so he can get away with making that kind of claim, but you and I both know what it is he is attempting to communicate at this point.
He's attempting to say that all this material, him speaking gibberish and pretending it's
Arabic over and over again, all the quote -unquote misstatements, his claiming his father was a polygamist, and brought multiple wives to the
United States, and using Hadith citations that no one can actually find, and Ramadan 40 days long, and now the new material from Mohammad Khan's videos where, that was just posted, where he's talking about how if you die, if your husband dies as a
Muslim woman, then you have to marry your brother -in -law, or then your uncle, and then your nephews, and all the rest of this just absurdity on Ergin Kanner's part.
Well, it's just two things, it's edited videos and misstatements, no, they're lies.
That's all they are, but that's why he says this. Quote, the school said, what do you want to do, and I said, fine, investigate me, but the controversy alone, you pay the price of the controversy.
You pay the price of the attention and the bad publicity, Kanner said. Then listen to this, every pastor in America, ask them if you can go through 200 odd hours of your sermons, would they find where you said your kids' names wrong or dates wrong?
Yeah, of course, you just smile and move on. It is a level of personal self -deception that is indicative of someone who doesn't know the truth that can allow someone to say something like this.
He knows what the evidence against him is, he knows this is not getting your kids' names wrong, though I don't know if I've ever done that, or dates wrong.
He knows this. He said over and over again, he came here in 1978 or 1979, he didn't, he came in 1969.
He came before his third birthday. That's a fact, he cannot dispute it, but that's not what he told people.
For a decade, he lied about this, it was in print, it was on his websites. That's not the same thing as getting a date wrong in a sermon over 200 some odd hours of speaking.
It's not the same thing, and he knows that, and everybody watching this video knows that. Well, I guess there might be some extremely deceived individuals who can't see the obvious facts in front of them, but these are really not things that are disputable any longer, are they?
Having on your website that you've engaged in debates with Muslim Imams in Arabic in mosques is not the same thing as getting a date wrong.
I've given you an example where I got a date wrong. I got a date stuck in my head about a Greek text
I now own, the 1550 Stephanos text, but I said many times, even in the King James Only controversy, 1555,
I got the date stuck in my mind. That's not the same thing. As knowing you came here in 1969, he knew that because he told a
Turkish paper that, he told the AP that, but he was already telling people he came here in 1978, 1979.
That's called lying, folks. That's not missing a date. And Erkin Kanner knows it. So he's been quiet for a while.
[The text is interrupted by data records]
DFT (ωB97M-V/def2-TZVPD) results for C40H60GeN4P3PdS as an isolated structure.

XYZ file:
```
110
Properties=species:S:1:pos:R:3:lowdin_spin:R:1
Pd 1.28 0.67 -1.02 0.115
C -2.41 4.60 1.45 0.003
C -1.06 3.87 1.39 0.013
C 0.07 4.87 1.61 0.002
P -0.73 2.88 -0.16 0.062
C -2.16 1.66 -0.09 0.042
N -1.86 0.51 0.74 0.387
Ge -0.28 -0.70 0.15 0.060
N -1.14 -1.86 -1.09 0.017
C -0.78 -1.69 -2.49 -0.001
P 0.81 -0.79 -2.75 0.022
C 2.11 -2.09 -2.77 0.008
C 2.00 -2.95 -1.51 0.001
C 2.19 -2.99 -4.00 0.002
C 0.64 -0.16 -4.48 0.002
C -0.05 1.19 -4.49 0.002
C -0.10 -1.10 -5.45 0.001
C -2.43 -2.29 -0.84 0.002
C -3.34 -2.68 -1.82 0.000
C -4.64 -3.04 -1.48 0.001
C -5.07 -3.01 -0.16 0.001
C -4.17 -2.64 0.83 0.003
C -2.87 -2.31 0.49 0.010
N -1.88 -1.98 1.48 0.050
C -2.28 -1.03 2.44 0.133
C -2.56 -1.31 3.76 -0.015
C -3.09 -0.31 4.56 0.161
C -3.37 0.97 4.04 0.007
C -3.06 1.27 2.74 0.101
C -2.42 0.30 1.93 0.059
C -1.07 -3.06 1.97 0.003
C -1.56 -4.30 2.31 0.003
C -0.70 -5.26 2.83 0.001
C 0.64 -4.95 2.98 0.004
C 1.15 -3.71 2.61 0.000
C 0.29 -2.74 2.06 0.006
N 0.68 -1.50 1.58 0.014
C 2.08 -1.17 1.74 0.001
P 2.57 0.42 0.93 0.017
C 4.40 0.21 0.73 0.007
C 5.11 -0.49 1.89 0.002
C 4.71 -0.54 -0.57 0.004
C 2.31 1.73 2.22 -0.001
C 3.40 1.94 3.27 0.000
C 0.97 1.50 2.92 0.000
C -1.27 4.08 -1.48 0.008
C -0.01 4.66 -2.13 0.007
C -2.21 3.49 -2.53 0.001
H -2.66 4.83 2.49 0.000
H -3.24 4.04 1.02 0.000
H -2.36 5.55 0.92 0.000
H -1.03 3.14 2.20 0.001
H 0.10 5.61 0.81 0.000
H 1.05 4.38 1.64 0.000
H -0.07 5.41 2.54 0.000
H -2.26 1.29 -1.11 0.015
H -3.11 2.11 0.20 0.001
H -1.55 -1.11 -3.03 0.001
H -0.71 -2.66 -2.99 0.000
H 3.04 -1.51 -2.71 0.001
H 1.10 -3.57 -1.53 0.000
H 1.96 -2.35 -0.60 0.000
H 2.86 -3.62 -1.44 0.000
H 1.29 -3.60 -4.12 0.000
H 3.03 -3.68 -3.88 0.000
H 2.37 -2.43 -4.92 0.000
H 1.68 -0.03 -4.81 0.000
H -1.09 1.09 -4.16 0.000
H -0.08 1.60 -5.50 0.000
H 0.44 1.91 -3.84 0.003
H -1.16 -1.14 -5.21 0.000
H 0.29 -2.11 -5.48 0.000
H -0.02 -0.69 -6.46 0.000
H -3.05 -2.72 -2.86 0.000
H -5.33 -3.34 -2.26 0.000
H -6.09 -3.27 0.10 0.000
H -4.47 -2.62 1.87 0.000
H -2.40 -2.31 4.15 -0.004
H -3.34 -0.52 5.59 0.009
H -3.81 1.72 4.67 -0.002
H -3.23 2.27 2.36 0.004
H -2.62 -4.52 2.18 0.000
H -1.07 -6.24 3.11 0.000
H 1.32 -5.68 3.40 0.000
H 2.20 -3.50 2.73 0.000
H 2.73 -1.94 1.28 0.000
H 2.35 -1.13 2.80 0.000
H 4.77 1.23 0.64 0.000
H 4.85 -1.55 1.93 0.000
H 4.90 -0.06 2.87 0.000
H 6.19 -0.44 1.73 0.000
H 4.28 -1.54 -0.55 0.000
H 5.79 -0.64 -0.68 0.000
H 4.32 -0.01 -1.44 0.007
H 2.23 2.63 1.61 0.000
H 3.47 1.10 3.95 0.000
H 3.15 2.82 3.86 0.000
H 4.38 2.12 2.83 0.000
H 1.01 0.63 3.58 0.000
H 0.16 1.33 2.20 0.001
H 0.71 2.37 3.53 0.000
H -1.80 4.89 -0.97 0.001
H 0.54 3.88 -2.66 0.005
H 0.67 5.09 -1.39 0.000
H -0.28 5.44 -2.84 0.001
H -1.77 2.63 -3.02 0.000
H -2.41 4.25 -3.29 0.000
H -3.18 3.20 -2.11 0.000
S 3.65 2.03 -3.10 0.263
C 2.45 1.80 -2.14 0.361
```

Output
Energy relative to the best compared isomer or geometry (same formula, charge and spin) = 0.8 kcal/mol
Spin multiplicity = 3
It seems a date has passed. He started back on Twitter, and now he's doing things like this. Maybe there was a certain amount of time that Liberty said, now you be quiet now for the next three months.
Yeah, it is almost exactly three months, isn't it? Ninety days since Liberty took its action, which they never bothered to explain fully enough to actually end this controversy.
Maybe that's what's going on. I just thought of that. That's interesting. Maybe it was a 90 -day moratorium.
Who knows? But he's talking again, and the man can't stop lying.
There's been no repentance. There's been no confession. There's been no restoration. Just a continuation of the same lies that he's been telling all along.
And sadly, the primary reason that he's able to thumb his nose at everyone who's sought to do what's right in this situation, who's sought to defend the integrity of the
Gospel and ministry to Muslims and everything else, the reason he's able to get away with this is because he's been enabled.
He realizes that there are people who are going to defend him, and they're going to keep inviting him to conferences and keep allowing him to speak, no matter what the evidence against him is.
And they have their various reasons. But he realizes he can get away with it, and so he's going to keep doing the same thing.
What can be done about it? Well, not much. Benny Hinn's out there, and he keeps making his millions, and Joel Osteen's out there making his millions, and Ergon Cantor may not be making his millions, but he's making his living.
But isn't it interesting, the very people who criticize Joel Osteen and Benny Hinn, these discernment ministries, now when it comes to one in their own ranks, have no discernment at all.
Zip. Zero. Nada. Nothing. Now, it's political. It's power.
There's no question as to what the motivations here are on the part of certain people. You might be saying, well, what can we do?
Well, if you're a believer, you don't go to anything where Ergon Cantor is speaking.
If you were going to go, you contact the people and say, I would love to come, but you have a well -documented liar speaking at your conference.
And you don't go to schools that support the man who continues to lie.
That's the best you can do. You pray that God will grant the man repentance, break his heart, because right now it's not broken.
Right now, he just seems to be, well, you all gave it your best shot, and I survived that.
Boy, the gullibility factor is even higher than I thought it was. Somehow, the man needs to be brought to repentance.
But as long as there are Christians who are willing to go, hey, come on, you know, go ahead and speak, it doesn't matter.
Let's just all get together. Hey, as long as you're speaking against Islam, folks, the only thing that will be effective against Islam is the truth.
The truth, my friends, not numbers, not how many people go to Liberty, or how many people go to Veritas, or how many people go here, that's not the power of the gospel.
The gospel is its truth, not how many people pretend to confess it. And so, you keep speaking the truth, you keep doing the work of the gospel, and yeah, we have yet another obstacle to overcome.
The fact that someone can make the very good argument, hey, all these people who call themselves Christians don't seem to care much about the truth, well, that's nothing new.
But we have to remain faithful despite all these things. And so, there's the article, amazing behavior on the part of a man who's already been removed from his position as president of a seminary, but he realizes that was primarily political.
And since Liberty didn't do the right thing, did not come out and say what the results their findings were, and say, you know, you're right.
Here on our own website it said he came here in 1979, it was a lie. He can't back this up, he can't back that up.
Since they tried to take the political way out, it just continues on. And he's seen it, and he realizes it.
Will it ever end? I don't know. But the reality is that for many evangelicals, it's like,
I just, I don't want to hear about it anymore, stop talking about it. What does that accomplish?
What does that accomplish? Over the past month, I've engaged in six debates.
Six debates. And in that process, I've defended the gospel against atheists,
Roman Catholics, and just recently a Muslim. Now I haven't stopped doing the work of the ministry because of arrogant canon, nor will
I. But I don't understand the mindset of so many evangelicals today, who while they agree, yeah, the guys lied, but let's just not worry about it.
Let's let them stand behind pulpits, let's let them stand in schools, let's let them just continue doing this stuff because I'm just tired of this, folks.
I imagine the Apostle Paul was quite tired of many of the opponents that he had inside and outside of the church.
But you don't honor the truth by having a three -month -long attention span. I think we're seeing the results of the internet right now in the church.
And that is, people just want to move on someplace else, move on someplace else, move on someplace else. Attention spans that are this long.
Endurance in defense of the truth is a Christian virtue. Now this has not become the only thing
I do, this is the first video I've done on this in quite some time. But the reality is that we can't take our eye off the ball and we cannot allow this blight upon the body of Christ to go unchallenged.
The truth of the gospel requires patient endurance in its defense.
And I hope that many of you will continue to pray that God will bring closure and conclusion and repentance to Ergenkanner and repentance to those who are aiding him in his deception.